It’s gnawing at you. You know that there are a few donors on your caseload that, given the right relationship and an amazing offer, would have the ability to give a six- or seven-figure gift to your organization.
However, you may be ignoring them a bit because you are not sure what actions you need to take in order to solicit them for that kind of a gift.
• The text is interrupted by materials data:
Record 1
# Li3Mn2FeB3O9

A relaxed structure of Li3Mn2FeB3O9 (PBE+U, the Materials Project).

Cell lengths 8.2651, 3.1737, 14.3087 Å; angles 90.00, 90.12, 90.00 degrees
Closest atoms and distances in Å follow each position.
Space group Pm (No. 6)
Unique sites:
1 Li 0.0000 0.0000 0.0000 [1 per cell]  4 O 1.97-2.01
2 Li 0.0261 0.0000 0.7064 [1 per cell]  4 O 1.97-2.01
3 Li 0.0741 0.0000 0.3415 [1 per cell]  4 O 1.97-2.02
4 Li 0.5014 0.0000 0.4998 [1 per cell]  4 O 1.99-2.02
5 Li 0.5277 0.0000 0.2080 [1 per cell]  4 O 1.98-2.02
6 Li 0.5741 0.0000 0.8400 [1 per cell]  4 O 1.98-2.01
7 Mn 0.1927 0.5000 0.1631 [1 per cell]  5 O 2.10-2.19
8 Mn 0.2319 0.5000 0.8547 [1 per cell]  5 O 2.10-2.20
9 Mn 0.6760 0.5000 0.0287 [1 per cell]  5 O 2.10-2.19
10 Mn 0.6935 0.5000 0.6631 [1 per cell]  5 O 2.11-2.19
11 Fe 0.1793 0.5000 0.5286 [1 per cell]  5 O 2.04-2.18
12 Fe 0.7303 0.5000 0.3535 [1 per cell]  5 O 2.04-2.18
13 B 0.3659 0.0000 0.6814 [1 per cell]  3 O 1.39
14 B 0.3671 0.0000 0.0160 [1 per cell]  3 O 1.39
15 B 0.3666 0.5000 0.3502 [1 per cell]  3 O 1.39-1.40
16 B 0.8660 0.0000 0.1837 [1 per cell]  3 O 1.39
17 B 0.8669 0.5000 0.8491 [1 per cell]  3 O 1.39-1.40
18 B 0.8686 0.0000 0.5147 [1 per cell]  3 O 1.39-1.40
19 O 0.0025 0.5000 0.7912 [1 per cell]  1 B 1.39
20 O 0.0165 0.0000 0.1405 [1 per cell]  1 B 1.39
21 O 0.0227 0.0000 0.4757 [1 per cell]  1 B 1.39
22 O 0.2139 0.5000 0.3093 [1 per cell]  1 B 1.39
23 O 0.2260 0.0000 0.6272 [1 per cell]  1 B 1.39
24 O 0.2284 0.0000 0.9607 [1 per cell]  1 B 1.39
25 O 0.3537 0.0000 0.1131 [1 per cell]  1 B 1.39
26 O 0.3552 0.0000 0.7784 [1 per cell]  1 B 1.39
27 O 0.3813 0.5000 0.4472 [1 per cell]  1 B 1.39
28 O 0.5055 0.5000 0.2947 [1 per cell]  1 B 1.40
29 O 0.5167 0.0000 0.6389 [1 per cell]  1 B 1.39
30 O 0.5190 0.0000 0.9743 [1 per cell]  1 B 1.39
31 O 0.7122 0.5000 0.8101 [1 per cell]  1 B 1.39
32 O 0.7265 0.0000 0.1295 [1 per cell]  1 B 1.39
33 O 0.7314 0.0000 0.4578 [1 per cell]  1 B 1.40
34 O 0.8519 0.0000 0.6117 [1 per cell]  1 B 1.40
35 O 0.8548 0.0000 0.2807 [1 per cell]  1 B 1.39
36 O 0.8860 0.5000 0.9460 [1 per cell]  1 B 1.40

Summary:
Formation enthalpy at 0 K in eV/f.u.: -44.1
E (MP2020) in eV/atom: -7.843

Record 2
# VPO5

A relaxed structure of VPO5 (PBE+U, the Materials Project).

Cell lengths 7.3485, 7.0627, 7.3890 Å; angles 90.00, 115.27, 90.00 degrees
Closest atoms and distances in Å follow each position.
Space group Cc (No. 9)
Unique sites:
1 V 0.0000 0.2308 0.0000 [4 per cell]  1 O 1.61
2 P 0.2904 0.1213 0.7889 [4 per cell]  4 O 1.54-1.56
3 O 0.1282 0.0015 0.6245 [4 per cell]  1 P 1.54
4 O 0.1935 0.2509 0.8917 [4 per cell]  1 P 1.54
5 O 0.3080 0.3494 0.3095 [4 per cell]  1 V 1.61
6 O 0.3997 0.2517 0.7009 [4 per cell]  1 P 1.54
7 O 0.4486 0.0078 0.4515 [4 per cell]  1 P 1.56

Summary:
Formation enthalpy at 0 K in eV/f.u.: -17.5
E (MP2020) in eV/atom: -8.103

Record 3
# Li7Mn5O12

A relaxed structure of Li7Mn5O12 (PBE+U, the Materials Project).
I understand. This predicament happened to me early in my career. I worked as a development director for an institution that taught computer technology to people with disabilities and then placed them in great-paying jobs. So we had a good number of donors in the business world who had means.
I knew there were a couple of donors who had tremendous capacity, but I was so intimidated at the time that I chose to ignore them. Instead I went after the other major donors that gave $5k, $10k and $20k gifts. That seemed easier and more productive, because I didn’t have to spend a bunch of time to get to that level of gift.
Gosh, I was young.
Finally, I got a kick in the rear from the CEO. “Jeff, you really need to get out there and talk to these three different business people who have tremendous capacity. What are you waiting for?”
Exactly. What was I waiting for? I guess just trying get over my fear that they’d reject me. Looking back at that experience, I shake my head wondering: why was I so hesitant?
Well, I was naive and new to the career I guess – but I’m glad my CEO gave me that kick. Because it was just what I needed to start a process of learning that helps me counsel other MGOs today. I want to share what I learned and how to cultivate those large gifts from donors that I absolutely know are in your current caseload or database.
1. Believe you have these types of donors in your caseload. They are in there! You have at least 2-3 (perhaps more) donors who have the ability to make a transformational gift. The first step is to review your caseload and do some initial research on who has capacity. Once you have established capacity by looking at wealth indicator information, spoken to staff and board members about your donors, and done your own research, you need to pinpoint who they are.
2. Create a plan. Yes, let’s assume you already have a plan for every one of your caseload donors. But for these select few, you are going to do more extensive planning on four different levels.
No. 1
The following is a DFT calculation (PBE-GGA) of TePb5O8 after structural relaxation.

Calculated values
The calculation puts the mass density at 8.48 g/cm³. Its formation energy is -1.54 eV per atom.

Unit cell a=12.271 b=7.599 c=13.161 alpha=55.53 beta=90.00 gamma=90.00
Atoms (fractional coordinates):
O1 0.075 0.174 0.970
O2 0.347 0.023 0.322
O3 0.119 0.628 0.849
O4 0.045 0.065 0.253
O5 0.653 0.977 0.678
O6 0.545 0.935 0.247
O7 0.576 0.154 0.899
O8 0.924 0.154 0.399
O9 0.269 0.937 0.675
O10 0.950 0.419 0.717
O11 0.381 0.628 0.349
O12 0.550 0.419 0.217
O13 0.455 0.065 0.753
O14 0.450 0.581 0.783
O15 0.575 0.826 0.530
O16 0.731 0.063 0.325
O17 0.955 0.935 0.747
O18 0.925 0.826 0.030
O19 0.408 0.230 0.075
O20 0.153 0.023 0.822
O21 0.619 0.372 0.651
O22 0.592 0.770 0.925
O23 0.425 0.174 0.470
O24 0.231 0.937 0.175
O25 0.769 0.063 0.825
O26 0.076 0.846 0.601
O27 0.092 0.230 0.575
O28 0.050 0.581 0.283
O29 0.424 0.846 0.101
O30 0.881 0.372 0.151
O31 0.847 0.977 0.178
O32 0.908 0.770 0.425
Pb1 0.872 0.588 0.242
Pb2 0.620 0.274 0.123
Pb3 0.628 0.588 0.742
Pb4 0.380 0.824 0.545
Pb5 0.372 0.412 0.258
Pb6 0.845 0.715 0.920
Pb7 0.120 0.726 0.377
Pb8 0.380 0.726 0.877
Pb9 0.128 0.412 0.758
Pb10 0.880 0.176 0.955
Pb11 0.393 0.215 0.900
Pb12 0.880 0.274 0.623
Pb13 0.120 0.824 0.045
Pb14 0.893 0.785 0.600
Pb15 0.607 0.785 0.100
Pb16 0.655 0.715 0.420
Pb17 0.620 0.176 0.455
Pb18 0.107 0.215 0.400
Pb19 0.155 0.285 0.080
Pb20 0.345 0.285 0.580
Te1 0.114 0.928 0.718
Te2 0.886 0.072 0.282
Te3 0.386 0.928 0.218
Te4 0.614 0.072 0.782

No. 2
The following is a DFT calculation (PBE-GGA) of BaMg6CdO8 after structural relaxation.

Calculated values
The calculation puts the mass density at 4.30 g/cm³. Its formation energy is -2.40 eV per atom. For the energy relative to the lowest polymorph listed for this composition, the calculation gives 78.7 meV per atom.

Unit cell a=9.112 b=4.713 c=4.713 alpha=90.00 beta=90.00 gamma=90.00
Atoms (fractional coordinates):
O1 0.500 0.000 0.500
O2 0.000 0.500 0.000
O3 0.732 0.000 0.000
O4 0.255 0.500 0.500
O5 0.745 0.500 0.500
O6 0.268 0.000 0.000
O7 0.000 0.000 0.500
O8 0.500 0.500 0.000
Mg1 0.735 0.500 0.000
Mg2 0.500 0.500 0.500
Mg3 0.735 0.000 0.500
Mg4 0.265 0.500 0.000
Mg5 0.000 0.500 0.500
Mg6 0.265 0.000 0.500
Ba1 0.000 0.000 0.000
Cd1 0.500 0.000 0.000

No. 3
The following is a DFT calculation (PBE-GGA) of CdC3S3N5 after structural relaxation.

Calculated values
The calculation puts the mass density at 1.96 g/cm³. Its formation energy is 0.05 eV per atom.

Unit cell a=7.352 b=11.317 c=12.835 alpha=90.00 beta=90.00 gamma=90.00
Atoms (fractional coordinates):
S1 0.812 0.355 0.172
S2 0.985 0.379 0.534
S3 0.312 0.145 0.828
S4 0.485 0.121 0.466
S5 0.688 0.645 0.672
S6 0.515 0.621 0.034
S7 0.359 0.518 0.305
S8 0.859 0.982 0.695
S9 0.015 0.879 0.966
S10 0.141 0.482 0.805
S11 0.188 0.855 0.328
S12 0.641 0.018 0.195
N1 0.853 0.541 0.387
N2 0.353 0.959 0.613
N3 0.836 0.225 0.740
N4 0.086 0.587 0.077
N5 0.336 0.275 0.260
- The first level of planning is research. Research is going to include a series of face-to-face meetings in order to understand the donor’s passions and interests. In addition, you are going to find out everything you possibly can about their philanthropy, their connections, and their relationship to your organization – and the history behind it.
- The second level of planning is around communication. Throughout the course of the year, you will be planning touches that are very specific to that donor. Anything related to his passions and interests, even if it’s outside your organization.
- The third level of planning is identifying within your organization the project or program that your donor will want to invest in. This means you know this project or program almost as well as the Director of Programs. It also means you are spending quite a bit of your time immersing yourself in the program.
- Finally, the fourth level of planning is around the actual solicitation. This may or may not all happen within 12 months, and your team will have to determine that based on where the donor is in the relationship. If you have done the right planning in 1-3, the fourth level will come very naturally. You will know the right time. But at this level of planning, you will also know the appropriate staff and materials for the solicitation, and you should make sure you put in enough hours practicing the face-to-face ask. This level of planning also includes knowing exactly the correct amount to solicit.
3. Stick with it. As you can already tell, soliciting a donor for a very large gift takes time, patience and a lot of hard work. It is very rare that some donor will ever come up to you with an open checkbook and hand over a million dollars. You have to stay with it. You have to continually deepen relationships, both with the donor and those in your organization who are helping you create the appropriate offer. You will get discouraged over time. You have to move through that discouragement and know that if you are doing all the right things, that is all you can do. Most of the time, good things will happen when you stick with it.
This is what I learned as a young development director. I had a lot of help, but I was able to secure a few six-figure gifts for our organization from donors that previously hadn’t ever given like that to us before. What was most satisfying in all of it was how much the donors appreciated the process, and how good they felt in giving those large gifts. It was a lot of work, but it was well worth that effort.
You have donors right now who, if inspired, would invest a great amount in your organization. So take this blog today as your little kick in the behind, and start identifying who they are. You can do it!
Jeff – I always appreciate your insights. Here’s my struggle with a mega-donor in my case load: the board member with the closest relationship and greatest access to the donor does not believe in the process; he says the donor’s time is very limited, so he wants to set it up as a one shot meeting, no more than 30 minutes to present the offer and make the ask (with no actual dollar amount). I am certain we’ll end up with “go away money” with that approach but how do I convince the board member of the steps necessary to make this a true donor-centered engagement that inspires a transformational gift?
Andrea, thanks for writing. Is there any way for you to sit down with the board member and talk about best practices and how the board members approach really isn’t centered on the donor, but about getting a gift? Short-term you will probably get a gift, but you are right that it will be a “go away” gift rather than something the donor will truly feel fantastic about. Every donor’s time is limited. Slip this blog post in his coat pocket…:)
You might consider asking the board member to put him/herself in the donors shoes for a moment and without context be asked to support a program that you may not even resonate with. You are not going to get an investment type of gift. Sounds like the board member is embarrassed to involve this donor and feels very uncomfortable fundraising. That is the main issue. I would discuss that issue with the board member and see if he/she will engage with you on that level.
Let us know how it goes. This is a tough one.